Articles 2024

Key Legal Developments in 2015 for Canadian Charities

Key Legal Developments in 2015 for Canadian Charities

  • 18 janvier 2016
  • Nevena Belovska, Associate Director of Legal Affairs, Canadian Council of Christian Charities,

### Calculated crystals, kept here for reference
(1)
Starting from a crystal structure in OQMD, relaxed with GGA-PBE, the powder X-ray diffraction pattern of SmAgS2 was simulated for a wavelength of 1.5418 Å.
No peak broadening, texture or thermal motion is included.

Principal peaks in the range 10° ≤ 2θ ≤ 90°, most intense first:
- 32.55 deg, intensity 100, (2 2 0)
- 26.80 deg, intensity 82, (2 0 2)
- 38.71 deg, intensity 46, (1 1 -5)
- 46.70 deg, intensity 33, (0 4 0)
- 54.66 deg, intensity 27, (2 4 2)
- 27.80 deg, intensity 21, (0 0 4)
- 51.38 deg, intensity 20, (3 1 -5)
- 51.51 deg, intensity 19, (1 3 5)
- 17.92 deg, intensity 19, (1 0 -2)
- 17.54 deg, intensity 16, (1 1 -1)

Structural model:
```
data_SmAgS2
_chemical_formula_sum 'Sm8 Ag8 S16'
_space_group_name_H-M_alt 'P 1 21 1'
_space_group_IT_number 4
_cell_length_a 7.7807
_cell_length_b 7.7809
_cell_length_c 12.8354
_cell_angle_alpha 90.00
_cell_angle_beta 90.21
_cell_angle_gamma 90.00
loop_
_space_group_symop_operation_xyz
'x,y,z'
'-x,y+1/2,-z'
loop_
_atom_site_label
_atom_site_type_symbol
_atom_site_fract_x
_atom_site_fract_y
_atom_site_fract_z
_atom_site_occupancy
Sm1 Sm 0.9996 0.0000 0.2472 1
Sm2 Sm 0.2480 0.7486 0.4970 1
Sm3 Sm 0.2513 0.2483 0.9973 1
Sm4 Sm 0.4997 0.4975 0.2529 1
Ag1 Ag 0.0067 0.0142 0.6771 1
Ag2 Ag 0.2311 0.7578 0.9273 1
Ag3 Ag 0.2730 0.2370 0.4271 1
Ag4 Ag 0.4926 0.9809 0.1769 1
S1 S 0.0254 0.5244 0.9720 1
S2 S 0.0336 0.0330 0.4666 1
S3 S 0.2168 0.7810 0.7163 1
S4 S 0.2234 0.7226 0.2779 1
S5 S 0.2757 0.2732 0.7784 1
S6 S 0.2839 0.2147 0.2166 1
S7 S 0.4671 0.9651 0.9664 1
S8 S 0.4760 0.4736 0.4720 1
```

(2)
Starting from a crystal structure in OQMD, relaxed with GGA-PBE, the powder X-ray diffraction pattern of SmAgSnTe2S was simulated for a wavelength of 1.5418 Å.
No peak broadening, texture or thermal motion is included.

Principal peaks in the range 10° ≤ 2θ ≤ 90°, most intense first:
- 32.50 deg, intensity 100, (1 3 2)
- 41.12 deg, intensity 60, (1 5 2)
- 27.54 deg, intensity 58, (1 3 0)
- 33.45 deg, intensity 47, (1 1 3)
- 28.85 deg, intensity 39, (1 3 1)
- 41.44 deg, intensity 38, (2 0 0)
- 28.35 deg, intensity 30, (0 2 3)
- 34.23 deg, intensity 29, (0 0 4)
- 27.32 deg, intensity 22, (1 1 2)
- 51.02 deg, intensity 21, (0 8 1)

Structural model:
```
data_SmAgSnTe2S
_chemical_formula_sum 'Sm4 Ag4 Sn4 Te8 S4'
_space_group_name_H-M_alt 'C m c m'
_space_group_IT_number 63
_space_group_name_Hall '-C 2c 2'
_cell_length_a 4.3577
_cell_length_b 14.5206
_cell_length_c 10.4793
_cell_angle_alpha 90.00
_cell_angle_beta 90.00
_cell_angle_gamma 90.00
loop_
_atom_site_label
_atom_site_type_symbol
_atom_site_fract_x
_atom_site_fract_y
_atom_site_fract_z
_atom_site_occupancy
Sm1 Sm 0.0000 0.0000 0.0000 1
Ag1 Ag 0.0000 0.4829 0.2500 1
Sn1 Sn 0.0000 0.2723 0.7500 1
Te1 Te 0.0000 0.3473 0.0589 1
S1 S 0.0000 0.0821 0.2500 1
```

(3)
Starting from a crystal structure in OQMD, relaxed with GGA-PBE, the powder X-ray diffraction pattern of SmTlAg2S3 was simulated for a wavelength of 1.5418 Å.

The year 2015 saw a number of important legal developments of interest to Canada’s charitable sector. This article highlights the key updates that charities should be aware of, including Federal Budget 2015, salient cases, and important legislative updates.

Œuvres de bienfaisance et organismes à but non lucratif
Fantasy Football - Lessons Learned from “Deflategate”

Fantasy Football - Lessons Learned from “Deflategate”

  • 21 septembre 2015
  • Clifford Hart

In his lengthy decision of September 3, 2015, U.S. District Judge Richard Berman overturned the four-game suspension issued by NFL Commissioner Roger Goodell to New England Patriots' quarterback Tom Brady in the “Deflategate” scandal. The decision is very critical of the NFL and its processes, and has been appealed by the NFL. But there are important takeaways from the decision that are of general application for all employers.

Œuvres de bienfaisance et organismes à but non lucratif
Tax Court Dismisses Appeals for Charitable Tax Credits

Tax Court Dismisses Appeals for Charitable Tax Credits

**Calculated crystals from another source follow**
-- begin --
Sm8Ho3Tm4: calculated powder diffraction line list (Cu Kα X-rays), based on a structure optimized by DFT (GGA-PBE).
Lines closer than 0.1° are merged.

Crystal structure
```
data_Sm8Ho3Tm4
_chemical_formula_sum 'Sm16 Ho6 Tm8'
_symmetry_space_group_name_H-M 'C 1 2/m 1'
_symmetry_Int_Tables_number 12
_cell_length_a 13.5593
_cell_length_b 12.0964
_cell_length_c 6.8145
_cell_angle_alpha 90.00
_cell_angle_beta 117.40
_cell_angle_gamma 90.00
loop_
_symmetry_equiv_pos_as_xyz
'x,y,z'
'-x,-y,-z'
'-x,y,-z'
'x,-y,z'
'x+1/2,y+1/2,z'
'-x+1/2,-y+1/2,-z'
'-x+1/2,y+1/2,-z'
'x+1/2,-y+1/2,z'
loop_
_atom_site_label
_atom_site_fract_x
_atom_site_fract_y
_atom_site_fract_z
_atom_site_occupancy
Sm1 0.0000 0.2047 0.0000 1
Sm2 0.0000 0.2536 0.5000 1
Sm3 0.2028 0.0000 0.1712 1
Sm4 0.2432 0.5000 0.2924 1
Ho1 0.0000 0.0000 0.5000 1
Ho2 0.2500 0.2500 0.0000 1
Tm1 0.0000 0.5000 0.0000 1
Tm2 0.0000 0.5000 0.5000 1
Tm3 0.2500 0.2500 0.5000 1
```

Main lines, by intensity (10° ≤ 2θ ≤ 90°):
- 2θ 29.5, rel. 100.0, (0 4 0)
- 2θ 29.7, rel. 70.7, (4 0 0)
- 2θ 42.4, rel. 45.7, (4 4 0)
- 2θ 30.1, rel. 41.8, (2 2 -2)
- 2θ 33.1, rel. 32.9, (0 2 2)
- 2θ 34.3, rel. 31.6, (4 2 -2)
- 2θ 30.8, rel. 21.0, (4 0 -2)
- 2θ 26.2, rel. 19.0, (2 0 -2)
- 2θ 62.6, rel. 16.3, (4 4 -4)
- 2θ 42.3, rel. 15.7, (0 4 2)

----------

[1]
Theoretical X-ray diffraction stick pattern of Na2SrOsO4 for Cu Ka, from a cell relaxed with GGA-PBE.
Lines closer than 0.1° are merged.

Atomic structure:
```
data_Na2SrOsO4
_chemical_formula_sum 'Na4 Sr2 Os2 O8'
_space_group_name_H-M_alt 'I -4'
_space_group_IT_number 82
_space_group_name_Hall 'I -4'
_cell_length_a 5.901
_cell_length_b 5.901
_cell_length_c 6.813
_cell_angle_alpha 90.00
_cell_angle_beta 90.00
_cell_angle_gamma 90.00
loop_
_atom_site_label
_atom_site_type_symbol
_atom_site_fract_x
_atom_site_fract_y
_atom_site_fract_z
Na1 Na 0.000 0.000 0.000
Na2 Na 0.000 0.500 0.250
Sr1 Sr 0.000 0.000 0.500
Os1 Os 0.000 0.500 0.750
O1 O 0.206 0.748 0.759
```

Largest 12 diffraction maxima, in order of rising 2θ, 2θ from 10° to 90°:
| 2theta | I/Imax | index |
| --- | --- | --- |
| 19.9 | 100.0 | 1 0 1 |
| 30.3 | 36.3 | 2 0 0 |
| 34.0 | 83.5 | 1 1 2 |
| 36.5 | 36.1 | 1 2 1 |
| 42.7 | 14.3 | 1 0 3 |
| 43.4 | 28.5 | 2 2 0 |
| 53.2 | 12.7 | 1 2 3 |
| 56.2 | 38.9 | 1 3 2 |
| 57.9 | 13.3 | 2 3 1 |
| 63.0 | 18.6 | 4 0 0 |
| 71.5 | 19.5 | 2 2 4 |
| 89.4 | 16.2 | 5 1 2 |

[2]
Theoretical X-ray diffraction stick pattern of KSnHg2Cl8 for Cu Ka, from a cell relaxed with GGA-PBE.
Lines closer than 0.1° are merged.

Atomic structure:
```
data_KSnHg2Cl8
_chemical_formula_sum 'K1 Sn1 Hg2 Cl8'
_space_group_name_H-M_alt 'P -1'
_space_group_IT_number 2
_space_group_name_Hall '-P 1'
_cell_length_a 6.696
_cell_length_b 6.767
_cell_length_c 8.817
_cell_angle_alpha 83.01
_cell_angle_beta 76.56
_cell_angle_gamma 87.97
loop_
_atom_site_label
_atom_site_type_symbol
_atom_site_fract_x
_atom_site_fract_y
_atom_site_fract_z
K1 K 0.000 0.000 0.000
Sn1 Sn 0.000 0.000 0.500
Hg1 Hg 0.474 0.482 0.240
-- stop --

  • 21 septembre 2015
  • Linsey E.C. Rains

The Tax Court of Canada recently released two informal procedure decisions which upheld the Minister of National Revenue’s disallowance of charitable donation tax credits claimed by two individual taxpayers. The July 9, 2015 decision in Duggan v The Queen dealt with the Minister’s denial of cash donations made to two registered charities, Mega Church International and Operation Save Canada’s Teenagers, which totalled $20,000 in 2007 and $16,890 in 2008.

Œuvres de bienfaisance et organismes à but non lucratif

Student Discipline: Practical Strategies for Helping High Risk Students Succeed

  • 13 avril 2015
  • Nicole Myers

**Here the entry breaks off for data records**
'''
Entry 1:
Theoretical X-ray powder pattern of CdI2 for Cu Kα X-rays, from the GGA-PBE geometry in the Materials Project.

Atomic structure:
Lattice parameters (Å, degrees): 4.3330 4.3330 60.1545 90.00 90.00 120.00
Space group P3m1 (No. 156)
Symmetry-distinct sites (fractional):
Cd: 0.0000 0.0000 0.0000
Cd: 0.0000 0.0000 0.1250
Cd: 0.0000 0.0000 0.2500
Cd: 0.0000 0.0000 0.3749
Cd: 0.0000 0.0000 0.5000
Cd: 0.0000 0.0000 0.6249
Cd: 0.0000 0.0000 0.7500
Cd: 0.3333 0.6667 0.8749
I: 0.0000 0.0000 0.8462
I: 0.3333 0.6667 0.0963
I: 0.3333 0.6667 0.2213
I: 0.3333 0.6667 0.3462
I: 0.3333 0.6667 0.4713
I: 0.3333 0.6667 0.5962
I: 0.3333 0.6667 0.7213
I: 0.3333 0.6667 0.9713
I: 0.6667 0.3333 0.0287
I: 0.6667 0.3333 0.1536
I: 0.6667 0.3333 0.2787
I: 0.6667 0.3333 0.4036
I: 0.6667 0.3333 0.5287
I: 0.6667 0.3333 0.6536
I: 0.6667 0.3333 0.7787
I: 0.6667 0.3333 0.9036

Top 6 peaks for 2θ from 10° to 90°, sorted by position:
- 2θ 11.77, rel. 49
- 2θ 26.55, rel. 100
- 2θ 33.75, rel. 45
- 2θ 41.69, rel. 41
- 2θ 43.43, rel. 41
- 2θ 77.27, rel. 17


Entry 2:
Theoretical X-ray powder pattern of CdI2 for Cu Kα X-rays, from the GGA-PBE geometry in the Materials Project.

Atomic structure:
Lattice parameters (Å, degrees): 4.3423 4.3423 146.7877 90.00 90.00 120.00
Space group P3m1 (No. 156)
Symmetry-distinct sites (fractional):
Cd: 0.0000 0.0000 0.0000
Cd: 0.0000 0.0000 0.1000
Cd: 0.0000 0.0000 0.2000
Cd: 0.0000 0.0000 0.3000
Cd: 0.0000 0.0000 0.4000
Cd: 0.0000 0.0000 0.5000
Cd: 0.0000 0.0000 0.6000
Cd: 0.0000 0.0000 0.7000
Cd: 0.0000 0.0000 0.8000
Cd: 0.0000 0.0000 0.9000
Cd: 0.3333 0.6667 0.0500
Cd: 0.3333 0.6667 0.1500
Cd: 0.3333 0.6667 0.2500
Cd: 0.3333 0.6667 0.3500
Cd: 0.3333 0.6667 0.4500
Cd: 0.3333 0.6667 0.5500
Cd: 0.3333 0.6667 0.6500
Cd: 0.6667 0.3333 0.7500
Cd: 0.6667 0.3333 0.8500
Cd: 0.6667 0.3333 0.9500
I: 0.0000 0.0000 0.0618
I: 0.0000 0.0000 0.1618
I: 0.0000 0.0000 0.2618
I: 0.0000 0.0000 0.3618
I: 0.0000 0.0000 0.4618
I: 0.0000 0.0000 0.5618
I: 0.0000 0.0000 0.6618
I: 0.0000 0.0000 0.7382
I: 0.0000 0.0000 0.8382
I: 0.0000 0.0000 0.9382
I: 0.3333 0.6667 0.0118
I: 0.3333 0.6667 0.1118
I: 0.3333 0.6667 0.2118
I: 0.3333 0.6667 0.3118
I: 0.3333 0.6667 0.4118
I: 0.3333 0.6667 0.5118
I: 0.3333 0.6667 0.6118
I: 0.3333 0.6667 0.7118
I: 0.3333 0.6667 0.7618
I: 0.3333 0.6667 0.8118
I: 0.3333 0.6667 0.8618
I: 0.3333 0.6667 0.9118
I: 0.3333 0.6667 0.9618
I: 0.6667 0.3333 0.0382
I: 0.6667 0.3333 0.0882
I: 0.6667 0.3333 0.1382
I: 0.6667 0.3333 0.1882
I: 0.6667 0.3333 0.2382
I: 0.6667 0.3333 0.2882
I: 0.6667 0.3333 0.3382
I: 0.6667 0.3333 0.3882
I: 0.6667 0.3333 0.4382
I: 0.6667 0.3333 0.4882
I: 0.6667 0.3333 0.5382
I: 0.6667 0.3333 0.5882
I: 0.6667 0.3333 0.6382
I: 0.6667 0.3333 0.6882
I: 0.6667 0.3333 0.7882
I: 0.6667 0.3333 0.8882
I: 0.6667 0.3333 0.9882

Top 6 peaks for 2θ from 10° to 90°, sorted by position:
- 2θ 12.06, rel. 69
- 2θ 26.63, rel. 100
- 2θ 29.97, rel. 63
- 2θ 38.92, rel. 38
- 2θ 41.60, rel. 69
- 2θ 66.75, rel. 30


Entry 3:
'''
**Back to the entry**

On March 31, 2015, 60 lawyers convened to partake in the Education Law & Child and Youth Sections’ joint program, “Student Discipline: Practical Strategies for Helping High Risk Students Succeed”. Chaired by Mary Birdsell, Executive Director of Justice for Children and Youth, and Brenda Stokes Verworn, counsel to the District School Board of Niagara, the engaging program provided counsel – on both sides of the table – with critical take-ways to implement in your practice.

Œuvres de bienfaisance et organismes à but non lucratif
Top Canadian Charity Law Compliance Issues

Top Canadian Charity Law Compliance Issues

  • 02 avril 2015
  • Mark Blumberg

This article provides a brief summary of some of the most important issues that lawyers should pay attention to when thinking of legal compliance for registered charities in Canada.

Œuvres de bienfaisance et organismes à but non lucratif
Court Refuses to Vary the Terms of a Restricted Gift

Court Refuses to Vary the Terms of a Restricted Gift

  • 19 mars 2015
  • Ryan M. Prendergast

In Mulgrave School Foundation (Re), the British Columbia Supreme Court considered a request by a charity to vary a gift for a particular purpose. After considering the lack of any evidence showing impossibility or impracticality, the BCSC refused to allow the donations intended to be used for scholarships to be used in the construction of the school.

Œuvres de bienfaisance et organismes à but non lucratif
“Support Persons” and A Child Witness

“Support Persons” and A Child Witness

  • 11 mars 2015
  • Brock Jones

What is the proper role of a support person in the courtroom, and what should they do, or not do, while a child is testifying about highly contentious matters? A review of R v CT 2015 ONCJ 93

Œuvres de bienfaisance et organismes à but non lucratif
The Application of GST/HST to Children's Camps Operated by Charities and Non-Profits

The Application of GST/HST to Children's Camps Operated by Charities and Non-Profits

  • 03 février 2015
  • Jonah Mayles

This article provides an overview of the CRA's recently released GST/HST Info Sheet GI-037, “Children’s Camps Operated by Public Sector Bodies” (the “Info Sheet”). This version replaced the previously issued version released in July 2007. While no substantive changes were made to the Info Sheet, its release provides a reminder with respect to the application of GST/HST to children’s camps operated by a public sector body.

Œuvres de bienfaisance et organismes à but non lucratif

Notice to Section Members re AMS John Hodgson Award

  • 21 janvier 2015
  • OBA Charities and Not-for-Profit Section Executive

This notice provides a summary of the changes made to the frequency of the AMS John Hodgson Award grant in view of the newly created Jane Burke-Robertson Award of Excellence in Charity and Not-For-Profit Law.

Œuvres de bienfaisance et organismes à but non lucratif